+++
# 1
The following is a PBE calculation of crystalline Nd2Al5Ag4 at its relaxed geometry, from the Alexandria database.

CIF file:
```
data_Nd2Al5Ag4
_cell_length_a 5.515
_cell_length_b 7.007
_cell_length_c 7.007
_cell_angle_alpha 83.40
_cell_angle_beta 66.83
_cell_angle_gamma 66.83
_symmetry_space_group_name_H-M 'P 1'
_symmetry_Int_Tables_number 1
loop_
_symmetry_equiv_pos_as_xyz
'x,y,z'
loop_
_atom_site_label
_atom_site_type_symbol
_atom_site_fract_x
_atom_site_fract_y
_atom_site_fract_z
_atom_site_occupancy
Al1 Al 0.247 0.767 0.233 1
Ag1 Ag 0.745 0.918 0.591 1
Nd1 Nd 0.726 0.274 0.274 1
Ag2 Ag 0.255 0.409 0.082 1
Nd2 Nd 0.274 0.726 0.726 1
Al2 Al 0.753 0.233 0.767 1
Al3 Al 0.753 0.767 0.233 1
Al4 Al 0.247 0.233 0.767 1
Ag3 Ag 0.745 0.591 0.918 1
Ag4 Ag 0.255 0.082 0.409 1
Al5 Al 0.000 0.500 0.500 1
```

Values from the calculation:
Symmetry = Immm, No. 71
Total magnetization = 0.00 μB per formula unit
Energy of formation from the pure elements = -3.4 eV/f.u.
Uncorrected energy = -3.91 eV/atom
V = 228.6 Å³/cell

***

# 2
The following is a PBE calculation of crystalline MnHPtS at its relaxed geometry, from the Alexandria database.

CIF file:
```
data_MnHPtS
_cell_length_a 5.305
_cell_length_b 2.942
_cell_length_c 7.161
_cell_angle_alpha 90.00
_cell_angle_beta 121.10
_cell_angle_gamma 90.00
_symmetry_space_group_name_H-M 'P 1'
_symmetry_Int_Tables_number 1
loop_
_symmetry_equiv_pos_as_xyz
'x,y,z'
loop_
_atom_site_label
_atom_site_type_symbol
_atom_site_fract_x
_atom_site_fract_y
_atom_site_fract_z
_atom_site_occupancy
Mn1 Mn 0.595 0.500 0.380 1
H1 H 0.351 0.500 0.773 1
Pt1 Pt 0.178 0.500 0.498 1
H2 H 0.351 0.000 0.273 1
S1 S 0.774 0.500 0.151 1
S2 S 0.774 0.000 0.651 1
Pt2 Pt 0.178 0.000 0.998 1
Mn2 Mn 0.595 0.000 0.880 1
```

Values from the calculation:
Symmetry = Cm, No. 8
Total magnetization = 1.81 μB per formula unit
Uncorrected energy = -5.71 eV/atom
V = 95.7 Å³/cell

***

# 3
The following is a PBE calculation of crystalline YPd3Au3 at its relaxed geometry, from the Alexandria database.

CIF file:
```
data_YPd3Au3
_cell_length_a 4.820
_cell_length_b 7.778
_cell_length_c 7.778
_cell_angle_alpha 120.00
_cell_angle_beta 90.00
_cell_angle_gamma 90.00
_symmetry_space_group_name_H-M 'P 1'
_symmetry_Int_Tables_number 1
loop_
_symmetry_equiv_pos_as_xyz
'x,y,z'
loop_
_atom_site_label
_atom_site_type_symbol
_atom_site_fract_x
_atom_site_fract_y
_atom_site_fract_z
_atom_site_occupancy
Au1 Au 0.250 0.089 0.632 1
Au2 Au 0.250 0.543 0.911 1
Y1 Y 0.750 0.333 0.667 1
Au3 Au 0.250 0.368 0.457 1
Pd1 Pd 0.250 0.960 0.194 1
Au4 Au 0.750 0.632 0.543 1
Pd2 Pd 0.750 0.766 0.960 1
Pd3 Pd 0.750 0.040 0.806 1
Y2 Y 0.250 0.667 0.333 1
Au5 Au 0.750 0.457 0.089 1
Pd4 Pd 0.250 0.806 0.766 1
Pd5 Pd 0.250 0.234 0.040 1
Au6 Au 0.750 0.911 0.368 1
Pd6 Pd 0.750 0.194 0.234 1
```

Values from the calculation:
Symmetry = P6_3/m, No. 176
Total magnetization = 0.00 μB per formula unit
Energy of formation from the pure elements = -3.3 eV/f.u.
Uncorrected energy = -5.03 eV/atom
V = 252.5 Å³/cell

***

# 4
The following is a PBE calculation of crystalline KS2Br8 at its relaxed geometry, from the Alexandria database.

CIF file:
```
data_KS2Br8
_cell_length_a 6.858
_cell_length_b 10.113
_cell_length_c 10.113
_cell_angle_alpha 43.82
_cell_angle_beta 78.81
_cell_angle_gamma 78.81
_symmetry_space_group_name_H-M 'P 1'
_symmetry_Int_Tables_number 1
loop_
_symmetry_equiv_pos_as_xyz
'x,y,z'
loop_
_atom_site_label
_atom_site_type_symbol
_atom_site_fract_x
_atom_site_fract_y
_atom_site_fract_z
_atom_site_occupancy
K1 K 0.000 0.000 0.000 1
S1 S 0.325 0.149 0.149 1
S2 S 0.675 0.851 0.851 1
Br1 Br 0.216 0.784 0.401 1
Br2 Br 0.216 0.401 0.784 1
Br3 Br 0.642 0.173 0.173 1
Br4 Br 0.125 0.257 0.257 1
Br5 Br 0.875 0.743 0.743 1
Br6 Br 0.784 0.216 0.599 1
Br7 Br 0.358 0.827 0.827 1
Br8 Br 0.784 0.599 0.216 1
```

Values from the calculation:
Symmetry = C2/m, No. 12
Total magnetization = 0.00 μB per formula unit
Raw formation energy = -150.7 meV/atom
+++
What is needed: retype all of the notes above with every line break kept.
# 1
The following is a PBE calculation of crystalline Nd2Al5Ag4 at its relaxed geometry, from the Alexandria database.

CIF file:
```
data_Nd2Al5Ag4
_cell_length_a 5.515
_cell_length_b 7.007
_cell_length_c 7.007
_cell_angle_alpha 83.40
_cell_angle_beta 66.83
_cell_angle_gamma 66.83
_symmetry_space_group_name_H-M 'P 1'
_symmetry_Int_Tables_number 1
loop_
_symmetry_equiv_pos_as_xyz
'x,y,z'
loop_
_atom_site_label
_atom_site_type_symbol
_atom_site_fract_x
_atom_site_fract_y
_atom_site_fract_z
_atom_site_occupancy
Al1 Al 0.247 0.767 0.233 1
Ag1 Ag 0.745 0.918 0.591 1
Nd1 Nd 0.726 0.274 0.274 1
Ag2 Ag 0.255 0.409 0.082 1
Nd2 Nd 0.274 0.726 0.726 1
Al2 Al 0.753 0.233 0.767 1
Al3 Al 0.753 0.767 0.233 1
Al4 Al 0.247 0.233 0.767 1
Ag3 Ag 0.745 0.591 0.918 1
Ag4 Ag 0.255 0.082 0.409 1
Al5 Al 0.000 0.500 0.500 1
```

Values from the calculation:
Symmetry = Immm, No. 71
Total magnetization = 0.00 μB per formula unit
Energy of formation from the pure elements = -3.4 eV/f.u.
Uncorrected energy = -3.91 eV/atom
V = 228.6 Å³/cell

***

# 2
The following is a PBE calculation of crystalline MnHPtS at its relaxed geometry, from the Alexandria database.

CIF file:
```
data_MnHPtS
_cell_length_a 5.305
_cell_length_b 2.942
_cell_length_c 7.161
_cell_angle_alpha 90.00
_cell_angle_beta 121.10
_cell_angle_gamma 90.00
_symmetry_space_group_name_H-M 'P 1'
_symmetry_Int_Tables_number 1
loop_
_symmetry_equiv_pos_as_xyz
'x,y,z'
loop_
_atom_site_label
_atom_site_type_symbol
_atom_site_fract_x
_atom_site_fract_y
_atom_site_fract_z
_atom_site_occupancy
Mn1 Mn 0.595 0.500 0.380 1
H1 H 0.351 0.500 0.773 1
Pt1 Pt 0.178 0.500 0.498 1
H2 H 0.351 0.000 0.273 1
S1 S 0.774 0.500 0.151 1
S2 S 0.774 0.000 0.651 1
Pt2 Pt 0.178 0.000 0.998 1
Mn2 Mn 0.595 0.000 0.880 1
```

Values from the calculation:
Symmetry = Cm, No. 8
Total magnetization = 1.81 μB per formula unit
Uncorrected energy = -5.71 eV/atom
V = 95.7 Å³/cell

***

# 3
The following is a PBE calculation of crystalline YPd3Au3 at its relaxed geometry, from the Alexandria database.

CIF file:
```
data_YPd3Au3
_cell_length_a 4.820
_cell_length_b 7.778
_cell_length_c 7.778
_cell_angle_alpha 120.00
_cell_angle_beta 90.00
_cell_angle_gamma 90.00
_symmetry_space_group_name_H-M 'P 1'
_symmetry_Int_Tables_number 1
loop_
_symmetry_equiv_pos_as_xyz
'x,y,z'
loop_
_atom_site_label
_atom_site_type_symbol
_atom_site_fract_x
_atom_site_fract_y
_atom_site_fract_z
_atom_site_occupancy
Au1 Au 0.250 0.089 0.632 1
Au2 Au 0.250 0.543 0.911 1
Y1 Y 0.750 0.333 0.667 1
Au3 Au 0.250 0.368 0.457 1
Pd1 Pd 0.250 0.960 0.194 1
Au4 Au 0.750 0.632 0.543 1
Pd2 Pd 0.750 0.766 0.960 1
Pd3 Pd 0.750 0.040 0.806 1
Y2 Y 0.250 0.667 0.333 1
Au5 Au 0.750 0.457 0.089 1
Pd4 Pd 0.250 0.806 0.766 1
Pd5 Pd 0.250 0.234 0.040 1
Au6 Au 0.750 0.911 0.368 1
Pd6 Pd 0.750 0.194 0.234 1
```

Values from the calculation:
Symmetry = P6_3/m, No. 176
Total magnetization = 0.00 μB per formula unit
Energy of formation from the pure elements = -3.3 eV/f.u.
Uncorrected energy = -5.03 eV/atom
V = 252.5 Å³/cell

***

# 4
The following is a PBE calculation of crystalline KS2Br8 at its relaxed geometry, from the Alexandria database.

CIF file:
```
data_KS2Br8
_cell_length_a 6.858
_cell_length_b 10.113
_cell_length_c 10.113
_cell_angle_alpha 43.82
_cell_angle_beta 78.81
_cell_angle_gamma 78.81
_symmetry_space_group_name_H-M 'P 1'
_symmetry_Int_Tables_number 1
loop_
_symmetry_equiv_pos_as_xyz
'x,y,z'
loop_
_atom_site_label
_atom_site_type_symbol
_atom_site_fract_x
_atom_site_fract_y
_atom_site_fract_z
_atom_site_occupancy
K1 K 0.000 0.000 0.000 1
S1 S 0.325 0.149 0.149 1
S2 S 0.675 0.851 0.851 1
Br1 Br 0.216 0.784 0.401 1
Br2 Br 0.216 0.401 0.784 1
Br3 Br 0.642 0.173 0.173 1
Br4 Br 0.125 0.257 0.257 1
Br5 Br 0.875 0.743 0.743 1
Br6 Br 0.784 0.216 0.599 1
Br7 Br 0.358 0.827 0.827 1
Br8 Br 0.784 0.599 0.216 1
```

Values from the calculation:
Symmetry = C2/m, No. 12
Total magnetization = 0.00 μB per formula unit
Raw formation energy = -150.7 meV/atom